### To do
Copy the whole of the data further down exactly.
### Input
/*
BN2Cl: theoretical powder diffractogram (λ = 1.5418 Å (Cu Kα)), based on the GGA-PBE geometry in Alexandria.
Peak positions follow from Bragg's law for the DFT cell and can differ from measured ones.

Atomic structure:
Lattice parameters (Å, degrees): 7.7806 7.7806 5.3901 90.00 90.00 67.42
Sites, in units of the cell vectors:
B 0.2046 0.7954 0.9529
B 0.2954 0.7046 0.4529
B 0.7046 0.2954 0.5471
B 0.7954 0.2046 0.0471
N 0.0779 0.9221 0.7776
N 0.2300 0.7700 0.6942
N 0.2700 0.7300 0.1942
N 0.4221 0.5779 0.2776
N 0.5779 0.4221 0.7224
N 0.7300 0.2700 0.8058
N 0.7700 0.2300 0.3058
N 0.9221 0.0779 0.2224
Cl 0.1669 0.1669 0.0000
Cl 0.3331 0.3331 0.5000
Cl 0.6669 0.6669 0.5000
Cl 0.8331 0.8331 0.0000

Principal peaks in the range 10° ≤ 2θ ≤ 90°, sorted by position:
| 2theta | d_spacing | I (rel.) |
| --- | --- | --- |
| 13.68 | 6.472 | 50 |
| 20.59 | 4.313 | 100 |
| 24.79 | 3.592 | 50 |
| 28.44 | 3.138 | 70 |
| 29.89 | 2.989 | 15 |
| 34.64 | 2.590 | 17 |
| 36.09 | 2.489 | 26 |
| 39.41 | 2.286 | 14 |
| 41.25 | 2.188 | 34 |
| 41.87 | 2.158 | 45 |

----------

Starting from a structure optimized by DFT (PBE), the powder diffractogram of Cu2SiPtCl was simulated for Cu Kα.
Kinematic intensities with the Lorentz-polarization factor, no thermal factor.

Crystal structure
```
Cu2SiPtCl
1.0
4.183 0.000 0.000
0.000 4.183 0.000
0.000 0.000 5.062
Cu Si Pt Cl
2 1 1 1
Direct
0.000 0.500 0.000
0.500 0.000 0.000
0.000 0.000 0.500
0.500 0.500 0.500
0.000 0.000 0.000
```
*/
### Done
BN2Cl: theoretical powder diffractogram (λ = 1.5418 Å (Cu Kα)), based on the GGA-PBE geometry in Alexandria.
Peak positions follow from Bragg's law for the DFT cell and can differ from measured ones.

Atomic structure:
Lattice parameters (Å, degrees): 7.7806 7.7806 5.3901 90.00 90.00 67.42
Sites, in units of the cell vectors:
B 0.2046 0.7954 0.9529
B 0.2954 0.7046 0.4529
B 0.7046 0.2954 0.5471
B 0.7954 0.2046 0.0471
N 0.0779 0.9221 0.7776
N 0.2300 0.7700 0.6942
N 0.2700 0.7300 0.1942
N 0.4221 0.5779 0.2776
N 0.5779 0.4221 0.7224
N 0.7300 0.2700 0.8058
N 0.7700 0.2300 0.3058
N 0.9221 0.0779 0.2224
Cl 0.1669 0.1669 0.0000
Cl 0.3331 0.3331 0.5000
Cl 0.6669 0.6669 0.5000
Cl 0.8331 0.8331 0.0000

Principal peaks in the range 10° ≤ 2θ ≤ 90°, sorted by position:
| 2theta | d_spacing | I (rel.) |
| --- | --- | --- |
| 13.68 | 6.472 | 50 |
| 20.59 | 4.313 | 100 |
| 24.79 | 3.592 | 50 |
| 28.44 | 3.138 | 70 |
| 29.89 | 2.989 | 15 |
| 34.64 | 2.590 | 17 |
| 36.09 | 2.489 | 26 |
| 39.41 | 2.286 | 14 |
| 41.25 | 2.188 | 34 |
| 41.87 | 2.158 | 45 |

----------

Starting from a structure optimized by DFT (PBE), the powder diffractogram of Cu2SiPtCl was simulated for Cu Kα.
Kinematic intensities with the Lorentz-polarization factor, no thermal factor.

Crystal structure
```
Cu2SiPtCl
1.0
4.183 0.000 0.000
0.000 4.183 0.000
0.000 0.000 5.062
Cu Si Pt Cl
2 1 1 1
Direct
0.000 0.500 0.000
0.500 0.000 0.000
0.000 0.000 0.500
0.500 0.500 0.500
0.000 0.000 0.000
```